## Activity
Your job: restate the whole of the lines further down verbatim.

## Listing
Here is crystalline MnBNO2 at its relaxed geometry from Alexandria via LeMat-Bulk. Energies are from PBE with a Hubbard U.

Cell: 3.6679 3.6679 3.0659 Å, 90.00 90.00 90.00°
Atoms (fractional coordinates):
1 Mn 0.0000 0.0000 0.0000
2 B 0.5000 0.5000 0.5000
3 N 0.5000 0.5000 0.0000
4 O 0.0000 0.5000 0.5000
5 O 0.5000 0.0000 0.5000

Properties
ρ	4.50	g cm⁻³
M_tot	0.620	μB/atom
total energy	-6.73	eV/atom

----------

DFT (PBE with a Hubbard U) results for crystalline CoAg2F6 at its relaxed geometry.

POSCAR file:
```
CoAg2F6
1.0
5.728 0.000 0.000
0.000 8.827 0.000
-3.648 0.000 5.492
Co Ag F
2 4 12
Cartesian
0.000 0.000 0.000
-1.824 4.413 2.746
-0.923 1.011 3.930
0.901 3.403 1.184
1.179 5.424 4.307
3.003 7.816 1.562
-0.768 0.142 1.861
-2.592 4.271 4.607
-0.826 5.870 3.273
0.998 7.371 0.527
1.560 1.175 0.377
-0.264 3.239 3.122
2.343 5.588 2.369
0.519 7.652 5.115
1.082 1.456 4.965
2.906 2.957 2.219
4.672 4.556 0.885
2.848 8.685 3.631
```

Output
volume	15.43	Å³ per atom
SG	P2_1/c (14)
calculated density	4.6	g/cm³
final energy	-35.1	eV/f.u.

----------

1.
Compound: ZnCdRu2
Source: Alexandria
Functional: PBE
Structure: relaxed

Cell and atoms, written as CIF:
```
data_ZnCdRu2
_chemical_formula_sum 'Zn1 Cd1 Ru2'
_cell_length_a 2.932
_cell_length_b 4.595
_cell_length_c 4.635
_cell_angle_alpha 90.00
_cell_angle_beta 90.00
_cell_angle_gamma 90.00
_space_group_name_H-M_alt 'P m m m'
_space_group_IT_number 47
loop_
_space_group_symop_operation_xyz
'x,y,z'
'-x,-y,-z'
'-x,-y,z'
'x,y,-z'
'x,-y,-z'
'-x,y,z'
'-x,y,-z'
'x,-y,z'
loop_
_atom_site_label
_atom_site_type_symbol
_atom_site_fract_x
_atom_site_fract_y
_atom_site_fract_z
_atom_site_occupancy
Zn1 Zn 0.000 0.000 0.000 1
Cd1 Cd 0.500 0.000 0.500 1
Ru1 Ru 0.000 0.500 0.500 1
Ru2 Ru 0.500 0.500 0.000 1
```

Output
Energy of formation (kJ/mol of atoms): 34


2.
Compound: LiCeNdSn
Source: Alexandria
Functional: PBE
Structure: relaxed

Cell and atoms, written as CIF:
```
data_LiCeNdSn
_chemical_formula_sum 'Li4 Ce4 Nd4 Sn4'
_cell_length_a 7.628
_cell_length_b 7.628
_cell_length_c 7.628
_cell_angle_alpha 90.00
_cell_angle_beta 90.00
_cell_angle_gamma 90.00
_space_group_name_H-M_alt 'F -4 3 m'
_space_group_IT_number 216
_space_group_name_Hall 'F -4 2 3'
loop_
_atom_site_label
_atom_site_type_symbol
_atom_site_fract_x
_atom_site_fract_y
_atom_site_fract_z
_atom_site_occupancy
Li1 Li 0.000 0.000 0.000 1
Ce1 Ce 0.250 0.250 0.750 1
Nd1 Nd 0.250 0.250 0.250 1
Sn1 Sn 0.000 0.000 0.500 1
```

Output
Energy of formation (kJ/mol of atoms): -31


3.
Compound: Pr4Nd2YEr2
Source: Alexandria
Functional: PBE
Structure: relaxed

Cell and atoms, written as CIF:
```
data_Pr4Nd2YEr2

## Worked solution
Here is crystalline MnBNO2 at its relaxed geometry from Alexandria via LeMat-Bulk. Energies are from PBE with a Hubbard U.

Cell: 3.6679 3.6679 3.0659 Å, 90.00 90.00 90.00°
Atoms (fractional coordinates):
1 Mn 0.0000 0.0000 0.0000
2 B 0.5000 0.5000 0.5000
3 N 0.5000 0.5000 0.0000
4 O 0.0000 0.5000 0.5000
5 O 0.5000 0.0000 0.5000

Properties
ρ	4.50	g cm⁻³
M_tot	0.620	μB/atom
total energy	-6.73	eV/atom

----------

DFT (PBE with a Hubbard U) results for crystalline CoAg2F6 at its relaxed geometry.

POSCAR file:
```
CoAg2F6
1.0
5.728 0.000 0.000
0.000 8.827 0.000
-3.648 0.000 5.492
Co Ag F
2 4 12
Cartesian
0.000 0.000 0.000
-1.824 4.413 2.746
-0.923 1.011 3.930
0.901 3.403 1.184
1.179 5.424 4.307
3.003 7.816 1.562
-0.768 0.142 1.861
-2.592 4.271 4.607
-0.826 5.870 3.273
0.998 7.371 0.527
1.560 1.175 0.377
-0.264 3.239 3.122
2.343 5.588 2.369
0.519 7.652 5.115
1.082 1.456 4.965
2.906 2.957 2.219
4.672 4.556 0.885
2.848 8.685 3.631
```

Output
volume	15.43	Å³ per atom
SG	P2_1/c (14)
calculated density	4.6	g/cm³
final energy	-35.1	eV/f.u.

----------

1.
Compound: ZnCdRu2
Source: Alexandria
Functional: PBE
Structure: relaxed

Cell and atoms, written as CIF:
```
data_ZnCdRu2
_chemical_formula_sum 'Zn1 Cd1 Ru2'
_cell_length_a 2.932
_cell_length_b 4.595
_cell_length_c 4.635
_cell_angle_alpha 90.00
_cell_angle_beta 90.00
_cell_angle_gamma 90.00
_space_group_name_H-M_alt 'P m m m'
_space_group_IT_number 47
loop_
_space_group_symop_operation_xyz
'x,y,z'
'-x,-y,-z'
'-x,-y,z'
'x,y,-z'
'x,-y,-z'
'-x,y,z'
'-x,y,-z'
'x,-y,z'
loop_
_atom_site_label
_atom_site_type_symbol
_atom_site_fract_x
_atom_site_fract_y
_atom_site_fract_z
_atom_site_occupancy
Zn1 Zn 0.000 0.000 0.000 1
Cd1 Cd 0.500 0.000 0.500 1
Ru1 Ru 0.000 0.500 0.500 1
Ru2 Ru 0.500 0.500 0.000 1
```

Output
Energy of formation (kJ/mol of atoms): 34


2.
Compound: LiCeNdSn
Source: Alexandria
Functional: PBE
Structure: relaxed

Cell and atoms, written as CIF:
```
data_LiCeNdSn
_chemical_formula_sum 'Li4 Ce4 Nd4 Sn4'
_cell_length_a 7.628
_cell_length_b 7.628
_cell_length_c 7.628
_cell_angle_alpha 90.00
_cell_angle_beta 90.00
_cell_angle_gamma 90.00
_space_group_name_H-M_alt 'F -4 3 m'
_space_group_IT_number 216
_space_group_name_Hall 'F -4 2 3'
loop_
_atom_site_label
_atom_site_type_symbol
_atom_site_fract_x
_atom_site_fract_y
_atom_site_fract_z
_atom_site_occupancy
Li1 Li 0.000 0.000 0.000 1
Ce1 Ce 0.250 0.250 0.750 1
Nd1 Nd 0.250 0.250 0.250 1
Sn1 Sn 0.000 0.000 0.500 1
```

Output
Energy of formation (kJ/mol of atoms): -31


3.
Compound: Pr4Nd2YEr2
Source: Alexandria
Functional: PBE
Structure: relaxed

Cell and atoms, written as CIF:
```
data_Pr4Nd2YEr2